Hello I am suffering from a severe case of multiple parasites, I am scared because I know they came from mexico, I have a doctors app on the 14th and have been doing research about my symptoms but still am sort of scared and want to try everything I can. I know there are people out there in worse boats than myself, but I may check myself into the ER after my appointment with my doctor, he may even recommend it.
My family has no history of auto immune problems, and this suddenly has happened to me in the last three months and I seem to be rapidly declining. My vision seems to be slowly getting worse and I am also experiencing non stop tinnitus ( ringing of the ears ) I have no cold regulation anymore, even in 70 temp I am freezing like an old person. I am 18 years old ( 19 next month yay! ) and I am also experiencing these very painful and disgusting large nasty sores that honestly resemble leishmaniasis all over me. I remember tiny bumps all over my hands, they itched a little and ran in lines and clusters.
They are very very hard to notice unless you look extreamly close and still exist to this day, but back then they were worse as far as feeling them there. Now the skin on my hands is dying all over, Almost what you would see simular to a person with HIV and rash on hands, but I have no HIV, and I as of 2 weeks ago was tested for every STD and came out clean. I am experincing trouble healing, and also increased mucus, for example i cough slightly and a ton of shit flies out. I have sores in my mouth, and I recently started grinding my teeth badly and I have see marks on the sides of my tongues that look like tongue indent marks on my tongue, but I have no clue of that is relevent and there is about 3 on each side and they definitly look like tongue on teeth marks instead of some type of abbsess on the tongue.
Also 2 months ago I got all these tiny bumps on the back of my tongue but I think that is a sign of infection or me being sick and not something infected with tongue. I am getting this little holes in my top lip near the center, i thought they were cold sores but I never had herpies simplex in any form, and they don't act like a cold sore and the middle of my top lip seems to be extreamly red and for exmaple when i left my top lip up and look at the center it appears much darker than the rest, but not just where the dying circle spot on my lip is it goes all the way down until the other side of the lip that you can reveal by flipping your top lip up. I am experincing major spine pain in the middle just bellow the shoulder blades and as a month ago was experncing horrid horrid low spin pain, like i couldn't move for two days without horrid pain.
I haven't done any strenuous acitivies or play sports so no reason for spine pain. also I have trouble grabbing things, i notice I am dropping a lot of things by mistake. My scent seems different? maybe i am wrong.. but i swear i smell things differently then i used to. My testicles also had pain about 1 month ago horribly and it was in the upper back area, but that seemed to cease now and it hurts lower down in the actual testicle on the left side. the skin on my big toes ( not rest of feet currently ) and skin on my palms is thickening almost, it has a rough like feel to it. And the dying skin on my hand is really noticeable and embarrassing, it is not just a few pieces that flaked off.. everywhere that is skin on my hand has died at some point ( on the palm ) in the last 3 weeks or so, but the dying skin thing is new and scary. it seems to heal and die heal and die heal and die constantly.
I have no allergies to anything I am coming into contact with and have already checked.
I have horrible mucus diarrhea about 4 weeks ago it was yellow and mucusy, now it seems to be darker and more broken up if that makes sense, not like stuck together mucus.
I am also experiencing a form of erectile dysfunction and i am far too young for that to make sense.
I don't do drugs, and I also have notably high blood pressure.
I have been losing weight rapidly ( always been fat ) now i can't lay on my stomach because my hip bones would poke in and feels pretty crappy, it seems like the fat on my butt isn't going to be enough soon.
So just to recap because it is easier to re read one line then my entire essay.
**Symptoms that started 1 to 3 months ago include.
First* bumps on palms
second, feeling cold no body temp regulation,
third, horrid lymph node pain followed by blood in my mucus but only horrid for that one day * i still have lymph node pain no noted blood in mucus yet though since that one day
fourth, horrible sciatic nerve pain on my right side. 5th trouble sleeping, 6th diareaha and blood when i wiped.
**Calculated crystals that have nothing to do with the article:**
********
[1]
Structure and calculated X-ray powder pattern of NpP2IrRu2 (a cell relaxed with PBE; λ = 1.5418 Å (Cu Kα)).
Peak positions follow from Bragg's law for the DFT cell and can differ from measured ones.

Principal peaks in the range 5° ≤ 2θ ≤ 70°, sorted by position:
| two_theta | Rel. int. | hkl |
| --- | --- | --- |
| 29.29 | 38 | 1 1 1 |
| 35.99 | 100 | 1 2 1 |
| 36.53 | 64 | 1 0 2 |
| 37.22 | 32 | 0 2 2 |
| 38.51 | 71 | 1 1 2 |
| 38.66 | 53 | 0 3 1 |
| 44.77 | 32 | 0 1 3 |
| 46.20 | 54 | 2 0 0 |

Atomic structure:
Lattice parameters (Å, degrees): 3.9312 7.5183 6.3053 90.00 90.00 90.00
Space group Pmc2_1 (No. 26)
Inequivalent atoms, fractional coordinates:
Np 0.0000 0.0675 0.0000 [2 per cell]
P 0.0000 0.3840 0.7518 [2 per cell]
P 0.5000 0.1779 0.2940 [2 per cell]
Ir 0.5000 0.2199 0.6743 [2 per cell]
Ru 0.0000 0.3388 0.3831 [2 per cell]
Ru 0.5000 0.4182 0.0658 [2 per cell]

***

[2]
Structure and calculated X-ray powder pattern of ThNp2TcC4 (a cell relaxed with PBE; λ = 1.5418 Å (Cu Kα)).
Peak positions follow from Bragg's law for the DFT cell and can differ from measured ones.

Principal peaks in the range 5° ≤ 2θ ≤ 70°, sorted by position:
| two_theta | Rel. int. | hkl |
| --- | --- | --- |
| 27.73 | 56 | 0 2 3 |
| 30.24 | 100 | 1 1 2 |
| 30.73 | 54 | 0 4 0 |
| 30.87 | 28 | 0 0 4 |
| 34.91 | 29 | 1 3 1 |
| 37.47 | 65 | 1 3 2 |
| 49.22 | 27 | 1 5 2 |
| 52.55 | 29 | 1 3 5 |

Atomic structure:
Lattice parameters (Å, degrees): 3.5961 11.6367 11.5855 90.00 90.00 90.00
Space group Cmcm (No. 63)
Inequivalent atoms, fractional coordinates:
Th 0.0000 0.1128 0.2500 [4 per cell]
Np 0.0000 0.3730 0.0447 [8 per cell]
Tc 0.0000 0.1473 0.7500 [4 per cell]
C 0.0000 0.0000 0.0000 [4 per cell]
C 0.0000 0.2586 0.6183 [8 per cell]
C 0.0000 0.4468 0.2500 [4 per cell]

***

[3]
Structure and calculated X-ray powder pattern of K7Sc (a cell relaxed with PBE; λ = 1.5418 Å (Cu Kα)).
Peak positions follow from Bragg's law for the DFT cell and can differ from measured ones.

Principal peaks in the range 5° ≤ 2θ ≤ 70°, sorted by position:
| two_theta | Rel. int. | hkl |
| --- | --- | --- |
| 24.60 | 100 | 2 2 2 |
| 28.48 | 51 | 4 0 0 |
| 40.72 | 35 | 4 4 0 |
| 48.15 | 40 | 6 2 2 |
| 50.44 | 12 | 4 4 4 |
| 58.95 | 5 | 8 0 0 |
| 64.85 | 15 | 6 6 2 |
| 66.75 | 13 | 8 4 0 |

Atomic structure:
Lattice parameters (Å, degrees): 12.5346 12.5346 12.5346 90.00 90.00 90.00
Space group Fm-3m (No. 225)
Inequivalent atoms, fractional coordinates:
K 0.0000 0.0000 0.0000 [4 per cell]
K 0.0000 0.2500 0.2500 [24 per cell]
Sc 0.0000 0.0000 0.5000 [4 per cell]

* * * * *

CsFePH12O10: computed powder X-ray diffraction pattern (Cu Kα X-rays), based on a cell relaxed with PBE+U.

Structure:
```
data_CsFePH12O10
_chemical_formula_sum 'Cs1 Fe1 P1 H12 O10'
_cell_length_a 7.1173
_cell_length_b 7.1383
_cell_length_c 7.1467
_cell_angle_alpha 89.84
_cell_angle_beta 60.35
_cell_angle_gamma 60.49
_symmetry_space_group_name_H-M 'P 1'
_symmetry_Int_Tables_number 1
_symmetry_space_group_name_Hall 'P 1'
********
Now I currently have at this Day: one, bumps on hands previous talked about they are whitish and always in lines, and so tiny you need good near site to even see them.
Where they are, skin is dying all over fingers palms etc, but re healing and dying. *
My hands always feel tickly or prickly or something recently within the past month *
Number two slow healing, Number three vision problems, fourth ringing in ears, No more lower spine pain but definit spin pain between should blades but just a little lower than where the shoulder are in the middle of spin. I have sinus pain, Lower pelvis pain on the left side, As well as penile and testicle pain and spine pain.
My extremities feel constantly extremely cold, and my motor skills are off. I seem to smell things differently as posted before but maybe the stress of all of this could do this i don't know. I have decreased sense in my tongue too, for example i am able to eat pretty hot food.
These things are growing between my pecs * I am male by the way * and they grow in lines, also 2, 2 is the number i see more than often on my body when these things grow. I remember one on my arm ( of course accompined by a second ) about three weeks ago but it seems to be gone, but this new one in the middle of my chest ( a little more on the right pec ) is huge, painful, almost like black center and very red sides, also i feel it under the skin it seems to be much larger than what is showing. These things keep popping up also worried about leishmaniasis and Mucosal leishmaniasis * only because of mexico, and all the extremely itchy bites that got bigger on my butt but faded after a few weeks of time. i also never saw them again. Also my sex drive seems to be taking a hit which is understable considering but still i don't feel normal as regards to that.
Also note sinus infection around same time ( neon yellow snot ) as the beginning symptoms started. not my sinus snot is clear atm. Also the skin on my lips is now dying in a web type fashion, doesn't seem like dehydration but maybe it could be. the whiteness of the skin on lips goes away with moisture but returns eventually. * PLEASE NOTE upon my research it seems more than likely I am suffering from multiple parasites, not just one bad one. Bumps are very tiny in a colonization but almost like in a ring line going around the shaft of my penis.
My penile pain testicular pain vision hearing and temp reg are my biggest concerns obviously. I can't go blind.